The reader should repeat every line further down that contains the word "Te".

____________
The following is a computed powder diffraction line list of Sm8InPb6. It was derived from a DFT-relaxed cell (PBE, Alexandria), using copper Kα.
Neutral-atom scattering factors, no anomalous dispersion.

Main lines, sorted by position (2θ from 5° to 70°):
2θ (°), d_spacing, Rel. int.
18.8, 4.713, 28
23.3, 3.818, 28
27.4, 3.257, 28
30.4, 2.942, 24
32.9, 2.721, 100
33.4, 2.679, 94
43.3, 2.088, 28
47.6, 1.909, 26
59.1, 1.563, 18
60.1, 1.539, 18

Cell and atoms:
Cell lengths 8.487, 8.487, 8.487 Å; angles 67.46, 67.46, 67.46 degrees
Atoms (fractional coordinates):
Sm (0.124, 0.399, 0.689)
Sm (0.168, 0.168, 0.168)
Sm (0.311, 0.876, 0.601)
Sm (0.399, 0.689, 0.124)
Sm (0.601, 0.311, 0.876)
Sm (0.689, 0.124, 0.399)
Sm (0.832, 0.832, 0.832)
Sm (0.876, 0.601, 0.311)
In (0.500, 0.500, 0.500)
Pb (0.056, 0.793, 0.428)
Pb (0.207, 0.572, 0.944)
Pb (0.428, 0.056, 0.793)
Pb (0.572, 0.944, 0.207)
Pb (0.793, 0.428, 0.056)
Pb (0.944, 0.207, 0.572)

---

The following is a computed powder diffraction line list of Sm2InPb4. It was derived from a DFT-relaxed cell (PBE, Alexandria), using copper Kα.
Neutral-atom scattering factors, no anomalous dispersion.

Main lines, sorted by position (2θ from 5° to 70°):
2θ (°), d_spacing, Rel. int.
16.2, 5.477, 6
23.0, 3.873, 13
32.7, 2.739, 53
33.4, 2.685, 100
40.9, 2.207, 6
46.9, 1.936, 20
48.9, 1.863, 9
58.8, 1.571, 40
60.1, 1.540, 19
68.5, 1.369, 7

Cell and atoms:
Cell lengths 6.624, 6.624, 6.624 Å; angles 108.45, 108.45, 111.54 degrees
Atoms (fractional coordinates):
Sm (0.000, 0.500, 0.500)
Sm (0.500, 0.000, 0.500)
In (0.001, 0.001, 0.000)
Pb (0.000, 0.000, 0.499)
Pb (0.000, 0.501, 0.000)
Pb (0.501, 0.000, 0.000)
Pb (0.501, 0.501, 0.501)

---

The following is a computed powder diffraction line list of Sm2InPb. It was derived from a DFT-relaxed cell (PBE, Alexandria), using copper Kα.
Neutral-atom scattering factors, no anomalous dispersion.

Main lines, sorted by position (2θ from 5° to 70°):
2θ (°), d_spacing, Rel. int.
28.8, 3.101, 100
30.4, 2.937, 33
36.1, 2.485, 83
36.7, 2.446, 18
38.4, 2.343, 29
40.8, 2.209, 24
49.8, 1.832, 17
51.8, 1.766, 15
57.3, 1.607, 18
67.1, 1.395, 15

Cell and atoms:
Cell lengths 6.326, 4.419, 9.159 Å; angles 90.00, 108.13, 90.00 degrees
Atoms (fractional coordinates):
Sm (0.201, 0.250, 0.432)
Sm (0.294, 0.750, 0.068)
Sm (0.706, 0.250, 0.932)
Sm (0.799, 0.750, 0.568)
In (0.117, 0.250, 0.795)
In (0.883, 0.750, 0.205)
Pb (0.384, 0.750, 0.705)
Pb (0.616, 0.250, 0.295)

---

The following is a computed powder diffraction line list of Sm2In3Te6Pb. It was derived from a DFT-relaxed cell (PBE, Alexandria), using copper Kα.
Neutral-atom scattering factors, no anomalous dispersion.

Main lines, sorted by position (2θ from 5° to 70°):
2θ (°), d_spacing, Rel. int.
27.3, 3.270, 51
27.5, 3.243, 100
38.3, 2.353, 20
38.6, 2.334, 40
39.7, 2.273, 37
40.3, 2.238, 18
46.7, 1.946, 11
48.5, 1.876, 10
49.3, 1.847, 20
56.8, 1.622, 13

Cell and atoms:
Cell lengths 10.427, 10.427, 9.419 Å; angles 105.20, 105.20, 24.79 degrees
Atoms (fractional coordinates):
Sm (0.168, 0.168, 0.333)
Sm (0.832, 0.832, 0.667)
In (0.165, 0.165, 0.834)
In (0.500, 0.500, 0.500)
In (0.835, 0.835, 0.166)
Te (0.008, 0.008, 0.260)
Te (0.331, 0.331, 0.429)
Te (0.333, 0.333, 0.900)
Te (0.667, 0.667, 0.100)
Te (0.669, 0.669, 0.571)
Te (0.992, 0.992, 0.740)
Pb (0.500, 0.500, 0.000)

---

The following is a computed powder diffraction line list of In3Sn2Pb7. It was derived from a DFT-relaxed cell (PBE, Alexandria), using copper Kα.
Neutral-atom scattering factors, no anomalous dispersion.

Main lines, sorted by position (2θ from 5° to 70°):
2θ (°), d_spacing, Rel. int.
15.8, 5.597, 13
18.2, 4.869, 13
27.6, 3.236, 13
29.7, 3.004, 18
32.0, 2.800, 64
33.9, 2.647, 100
35.7, 2.518, 36
55.3, 1.661, 14
58.2, 1.585, 22
65.3, 1.428, 17

Cell and atoms:
Cell lengths 19.818, 19.818, 5.597 Å; angles 90.00, 90.00, 169.72 degrees
Atoms (fractional coordinates):
In (0.000, 0.000, 0.000)
In (0.171, 0.829, 0.000)
In (0.829, 0.171, 0.000)
____________

Te (0.008, 0.008, 0.260)
Te (0.331, 0.331, 0.429)
Te (0.333, 0.333, 0.900)
Te (0.667, 0.667, 0.100)
Te (0.669, 0.669, 0.571)
Te (0.992, 0.992, 0.740)